I received this from someone who recently attended the "Keep Your Eye Simple" Special Assembly Day.
The title of this post was spoken by James Pellechia, a Bethel heavy. After the mid afternoon song, Bro Pellechia reads the accounts report.
**Inserted here: quantum chemistry results**
<<<
Model 1:
Here is 10 unconnected molecules or ions with the total composition C6H32O10 from the Open Molecules 2025 dataset. Energies are from the ωB97M-V functional and the def2-TZVPD basis.

CARTESIAN COORDINATES (ANGSTROEM)
H -1.57 1.48 1.47
O 0.69 -2.46 -2.03
H 0.40 -2.92 0.82
H 0.13 -2.72 -1.29
O 1.34 -1.60 1.22
H -4.20 0.55 -1.99
H 1.51 -2.37 -1.57
H 2.02 1.37 -0.33
H -0.88 1.77 -1.02
H 0.78 0.28 -3.89
O 3.34 -0.88 -0.31
H -1.57 2.82 -2.16
C -2.21 1.00 -2.60
C -1.05 1.85 -2.07
O 0.98 0.64 3.22
O -2.07 0.96 2.29
O 0.03 -3.76 0.94
H -1.88 0.06 -3.17
H -3.41 -1.31 -0.36
C -3.19 0.51 -1.47
H -0.30 -3.90 1.81
O 0.12 2.71 1.07
H 1.07 1.11 4.00
H 2.39 0.93 2.34
H -2.16 -1.24 -1.70
H 1.38 1.49 -1.81
H -1.13 0.41 0.20
H -3.12 -0.64 2.05
H 4.21 -1.12 0.06
H -2.83 1.49 -3.27
H -0.99 -1.36 0.18
H 3.45 0.02 -0.37
H 0.66 -0.59 -2.55
H -1.47 -1.05 2.55
H -0.22 1.78 -2.71
H 0.21 0.95 2.72
H 0.59 1.98 0.54
C -2.62 -0.66 -0.77
H 3.88 0.44 1.86
O 1.38 1.83 -0.87
C -2.10 -0.40 1.90
O 1.11 0.21 -2.99
H 2.14 -2.02 1.63
H 1.79 -0.85 0.77
O 3.05 0.89 1.63
H -0.34 3.11 0.25
C -1.63 -0.54 0.38
H -3.31 1.27 -0.65

Spin multiplicity: 1
Kohn-Sham gap: 9.7 eV
Highest occupied orbital energy: -0.36178 Eh
SMILES string: CCCCCCO.O.O.O.O.O.O.O.O.O
Total charge: 0


Model 2:
Here is 10 unconnected molecules or ions with the total composition C6H32O10 from the Open Molecules 2025 dataset. Energies are from the ωB97M-V functional and the def2-TZVPD basis.

CARTESIAN COORDINATES (ANGSTROEM)
O -3.41 0.60 -4.70
O 4.13 -2.47 -0.31
H -2.58 0.96 2.04
H 1.86 0.39 4.05
H 3.20 0.08 4.72
H -4.84 -4.31 1.41
C -3.48 0.27 -3.31
H -4.67 -1.61 1.07
O 2.59 -0.24 4.05
H 4.48 2.77 -1.22
C -2.07 0.05 -2.81
H -4.65 -2.87 -0.15
H 0.70 -1.60 0.22
H 0.74 2.71 2.79
H -1.41 0.84 -3.15
C 0.53 -0.53 0.29
H -2.51 -1.59 -0.10
H 2.43 -0.06 1.23
H 4.28 -1.66 0.19
C -4.20 -2.55 0.80
H -0.06 -0.21 -0.57
O -2.28 1.75 1.58
H -4.04 -0.67 -3.18
H 2.54 2.01 0.22
H 0.74 1.42 1.96
H -2.26 -3.30 0.23
H -2.20 -2.20 1.58
H 5.09 0.15 1.87
H 4.58 -2.32 -1.15
O 0.66 2.15 -2.59
H 5.04 0.89 0.54
H -1.70 -0.93 -3.10
O 4.39 2.76 -0.26
H 1.25 2.89 -2.43
H -2.11 0.08 -1.71
H -3.96 1.06 -2.74
H 4.24 3.67 -0.01
H 0.53 1.78 -1.70
H -4.29 0.72 -5.04
O 0.47 1.78 2.82
O -4.52 -3.51 1.82
H -0.07 -0.37 1.19
C 1.86 0.19 0.33
H 2.45 -0.18 -0.52
O 1.66 1.61 0.15
C -2.71 -2.39 0.63
H -1.48 2.02 2.07
O 5.08 0.01 0.92

Spin multiplicity: 1
Kohn-Sham gap: 9.6 eV
Highest occupied orbital energy: -0.36714 Eh
SMILES string: CCO.CCO.CCO.O.O.O.O.O.O.O
Total charge: 0


The structure with the greatest stability is model 2.


Model 1:
Here is 2 unconnected molecules or ions with the total composition C8H19NO from the Open Molecules 2025 dataset. Energies are from the ωB97M-V functional and the def2-TZVPD basis.

CARTESIAN COORDINATES (ANGSTROEM)
C -1.64 1.07 1.40
H -1.04 -2.82 2.02
H 1.10 2.54 1.61
O 1.47 1.74 -1.76
H -0.62 0.61 -3.01
H 0.01 0.17 0.29
H -0.50 -1.85 -0.23
H -1.88 1.70 -2.08
C 0.21 1.93 -1.60
H -2.71 0.46 1.28
H 0.64 -2.09 2.17
>>>
The circuit assembly account had a surplus of $3,000, the account balance was $47,000. Receipts were $9,000. And the cost of using the hall? $12,000!
After all the funds had been transferred to the Watchtower he said, "we have a deficit brothers of $3,500. Open your hearts and your wallets brothers and sisters. I know you will do the right thing."
Shortly afterwards, I noticed brothers carrying two large contribution boxes in front of the exits doors, which would face those leaving after the session.
This blatant sneakiness of moving contribution boxes in place and Bro. Pellechia's scam is nauseating.
Anyway, here is the assembly program...
Morning Session
Prior to music, an announcement was stated: "Brothers and sisters, we will be playing delightful music that you will find enjoyable. This has been provided by the faithful and discreet slave." - Yes, this was really said. Talk about 1984.
9:40 Music
9:50 Song No. 26 and Prayer
10:00 Why Keep Your Eye Simple? Usuallspiel about TV, Internet, Higher Education taking the time of brothers and sisters who need that time for personal study and family study.
10:15 Reap Blessings For Keeping A Simple Eye - interview with an elder, his wife and two chidren who moved to a smaller house to be near their job, so they could pioneer. Throughout the course of the day, interviewees were never ordinary rank and file; no they were Bethelites, Circuit Overseers and regular pioneers.
10:40 Be Sound In Mind - The End Draws Near - the speaker they had was dynamic, but I couldn't help thinking how many times I had heard this before.
Data records that have nothing to do with the entry.
17
Properties=species:S:1:pos:R:3 method="wB97M-V/def2-TZVPD" max_force_ha_per_bohr=0.07410 de_lowest_kj_mol=421.56 orbital_gap_ha=0.31336 e_homo_ev=-11.73 total_charge=+1
C 1.616 -1.604 -0.867
C -0.962 1.029 1.127
C -0.491 0.374 -1.138
N -1.368 -0.678 -1.274
N 0.284 1.090 1.861
S 1.226 0.180 -1.015
H 2.511 -1.626 -0.393
H 1.376 -2.209 -1.701
H 1.058 -1.869 -0.007
H -1.256 2.098 1.032
H -1.734 0.305 1.584
H -1.055 1.287 -1.397
H -0.836 -1.450 -1.686
H -2.168 -0.412 -1.888
H 1.044 0.940 1.013
H 0.474 0.402 2.602
H 0.280 2.145 2.146

=====

(1)
{
  "formula": "C33H60BBrN4O13S",
  "method": "ωB97M-V/def2-TZVPD",
  "elements": ["C", "C", "C", "C", "N", "C", "C", "C", "C", "C", "C", "C", "S", "C", "N", "N", "C", "O", "C", "Br", "C", "N", "O", "B", "O", "O", "H", "H", "H", "H", "H", "H", "H", "H", "H", "H", "H", "H", "H", "H", "H", "H", "H", "H", "C", "O", "C", "C", "O", "C", "C", "O", "C", "H", "H", "H", "H", "H", "H", "H", "H", "H", "H", "H", "H", "H", "H", "C", "O", "C", "C", "O", "C", "C", "O", "C", "H", "H", "H", "H", "H", "H", "H", "H", "H", "H", "H", "H", "H", "H", "C", "O", "C", "C", "O", "C", "C", "O", "C", "H", "H", "H", "H", "H", "H", "H", "H", "H", "H", "H", "H", "H", "H"],
Speaker presented SIX lines of POWERFUL EVIDENCE:
1) We are in the last days as spoken of by Paul's letter to Timothy.
2) The composite sign Jesus spoke about is happening now, since 1914.
3) The number of genuine anointed is dwindling. There will still be anointed ones on earth during the tribulation.
4) We are in the feet of the image mentioned in Daniel - "no brothers," the speaker says, "we are in the toes of the image."
The piece is interrupted by records of molecules >
~~~
# C4H10Si

C4H10Si in the gas phase at a distorted geometry (ωB97M-V/def2-TZVPD, the Open Molecules 2025 dataset).

Geometry as XYZ:
```
15
Properties=species:S:1:pos:R:3
C 1.505 -1.610 -0.670
C 0.845 -0.026 -0.820
C -0.124 0.549 -0.164
C -0.444 1.999 -0.198
Si -1.313 -0.419 1.040
H 2.402 -1.549 -1.344
H 1.731 -1.700 0.425
H 0.720 -2.351 -0.876
H 1.662 0.615 -1.352
H -0.888 2.394 0.793
H 0.426 2.629 -0.430
H -1.182 2.057 -1.020
H -1.368 -1.821 0.462
H -2.535 0.423 1.009
H -0.915 -0.099 2.369
```

The multiplicity is 1. Its HOMO energy is -9.4 eV. For the largest force on an atom, the calculation gives 4.97 eV Å⁻¹. The value obtained for the relative energy (zero: lowest compared OMol25 entry of this formula, charge and spin) is 0.818 eV.

---

# C12H15N2O3RuS

A molecular structure, C12H15N2O3RuS at a distorted geometry (ωB97M-V/def2-TZVPD, the Open Molecules 2025 dataset).

Geometry as XYZ:
```
34
Properties=species:S:1:pos:R:3
Ru -0.108 -0.565 1.519
O -3.453 -2.308 3.409
C -2.685 -1.654 2.732
O -1.632 -1.059 3.086
C -3.002 -1.484 1.229
C -4.236 -1.872 0.732
C -4.510 -1.674 -0.611
C -3.514 -1.125 -1.413
C -2.306 -0.771 -0.842
N -2.046 -0.940 0.460
H -4.948 -2.299 1.422
H -5.470 -1.940 -1.025
H -3.677 -0.970 -2.469
H -1.511 -0.339 -1.442
O 0.670 -0.090 -0.790
S 1.876 0.294 -1.589
C 3.130 0.934 -0.407
C 3.740 2.138 -1.092
C 2.559 2.971 -1.590
C 1.559 2.009 -2.223
H 3.842 0.146 -0.184
H 2.586 1.205 0.501
H 4.367 1.824 -1.932
H 4.361 2.702 -0.396
H 2.890 3.726 -2.304
H 2.097 3.485 -0.745
H 1.663 1.957 -3.303
H 0.528 2.240 -1.970
C 1.194 -2.324 1.739
H 1.087 -2.979 0.873
H 0.801 -2.805 2.641
H 2.240 -2.046 1.874
N 1.211 2.323 2.070
C 0.696 1.291 2.041
```

The multiplicity is 2. Its HOMO energy (spin up / spin down) is -9.1 / -9.1 eV. For the largest force on an atom, the calculation gives 2.96 eV Å⁻¹.

~~~~~

Version a
ORCA calculation (ωB97M-V with the def2-TZVPD basis set) on a cluster of 2 separate species, C3H11N3O in total.

CARTESIAN COORDINATES (ANGSTROEM)
H (-0.483, -0.738, -2.518)
N (-0.683, -1.519, -1.857)
N (0.151, -1.661, -0.983)
C (1.316, -0.827, -0.880)
O (1.505, 0.116, -1.887)
H (2.170, -1.517, -0.826)
H (1.156, -0.179, 0.072)
H (1.609, 0.102, -2.841)
C (-0.136, 1.554, 0.767)
C (-1.306, 0.514, 1.354)
N (-0.894, -0.809, 1.654)
H (0.186, 1.480, -0.271)
H (0.628, 1.675, 1.533)
H (-0.661, 2.507, 0.718)
H (-2.099, 0.492, 0.609)
H (-1.677, 0.992, 2.263)
H (-0.096, -0.823, 2.279)
H (-0.687, -1.358, 0.816)

The frontier orbital gap comes out at 9.227 eV. The value obtained for the LUMO energy is 0.5266 eV. As for the multiplicity: 1. The SMILES is [H]/N=N\CO.CCN. The calculation puts the highest occupied orbital energy at -8.700 eV. As for the total charge: 0.

=====

Version b
ORCA calculation (ωB97M-V with the def2-TZVPD basis set) on a cluster of 2 separate species, C3H11N3O in total.

CARTESIAN COORDINATES (ANGSTROEM)
C (-1.636, -0.971, -0.584)
C (-0.310, -1.126, 1.599)
C (-0.521, -0.381, 0.279)
O (-1.406, 1.649, -0.338)
~~~
5) We are in the time period of the 8th King - speaker mentions all previous kings and says the United Nations is the eight king - there are no more kings.
side note: If the UN is a King, who are its subjects?
6) I can't remember a sixth, but these powerful lines of evidence have been published in a Watchtower study article a few years ago.
10:55 Song No. 9 and Announcements - "We would like to thank you for the co-operation regarding the matter of chewing gum..."
11:05 Keeping a Simple Eye in a Wicked World - interviews with families and pioneers.
11:35 Dedication and Baptism: Yes, the old devil himself is tempting all you new ones
12:05 Song No. 152
Afternoon Session
1:20 Music
1:30 Song No. 164
1:35 Experiences
1:45 Watchtower Summary - interesting, one of the paragraphs says that disgruntles ones whos expectations have not been fulfilled, start making use of the world to its full, careers, university education and hobbies.
2:15 Parents Who Aim Their Arrows Aright - Interview with family and their six kids - all are regular pioneers, servants etc. It's a shame that they ignore the average Joe publishers who can only do 4 hours a month while working full time to support his family.
2:30 Youths Who Reach Out For Spiritual Goals - you can guess this one, more of the same pioneer, Bethel, Gilead service.
2:45 Song No. 157 and Announcements
2:55 Focus on Moving Ahead with Jehovah's Organization
Interesting this item, speaker actually said, that we may have questions or doubts which go unanswered for a long time, that is privately held views ans such. IF we allow these to fester, we could experience a crisis of faith and go apostate!!! Of course, the remedy is do research, but only in the Bible based publications.
3:55 Song No.222 and Prayer
The whole theme of the Special assembly Day was "Keep Your Eye Simple."
I would suggest the Watchtower apply these words when printing their voluminous literature
"A few things or just one is necessary." - The Bible